# Material
┌──
Entry 1:
# C9H68NO26

A cluster of 26 separate species, C9H68NO26 in total at a distorted geometry (wB97M-V/def2-TZVPD, OMol25).

Values from the calculation:
- Total energy: -65159.6802 eV
- F_max: 0.1737 hartree/bohr
- Net charge: -1
- LUMO: 1.497 eV
- Frontier orbital gap: 4.92 eV
- Energy above the lowest of the compared OMol25 structures with the same formula, charge and spin: 139.2 kcal per mole
- HOMO: -3.425 eV

CARTESIAN COORDINATES (ANGSTROEM)
C  1.677  0.943  -0.837
C  0.370  0.196  -0.946
C  0.738  -1.328  -0.913
C  1.106  -1.856  0.461
C  -0.001  -1.540  1.420
C  -0.410  -0.045  1.477
N  -0.563  0.483  0.131
O  -1.142  1.748  0.109
C  0.748  0.676  2.241
C  -1.671  0.144  2.289
C  -0.363  0.365  -2.269
H  1.600  2.034  -0.816
H  2.469  0.715  -1.567
H  2.214  0.712  0.086
H  1.562  -1.607  -1.574
H  -0.117  -1.958  -1.185
H  2.103  -1.497  0.738
H  1.255  -2.940  0.428
H  0.204  -1.907  2.434
H  -0.916  -2.078  1.132
H  0.678  1.739  2.015
H  1.743  0.325  1.973
H  0.647  0.466  3.309
H  -2.529  -0.082  1.657
H  -1.784  1.143  2.700
H  -1.505  -0.585  3.092
H  -1.202  -0.334  -2.328
H  0.242  0.162  -3.162
H  -0.850  1.332  -2.413
O  3.474  -3.894  -1.856
H  4.197  -3.278  -2.025
H  2.721  -3.517  -2.331
O  2.480  -4.961  2.007
H  2.759  -4.979  1.081
H  1.525  -4.855  1.967
O  0.098  -4.868  -0.945
H  -0.493  -5.630  -0.951
H  -0.281  -4.270  -0.282
O  -4.373  0.343  3.138
H  -3.688  1.038  3.113
H  -3.880  -0.476  3.244
O  2.260  3.554  3.041
H  1.625  3.557  2.301
H  3.100  3.800  2.638
O  0.459  4.262  0.852
H  -0.297  3.797  0.453
H  1.149  4.202  0.176
O  -4.164  -0.287  -3.298
H  -3.470  -0.896  -3.579
H  -4.382  -0.570  -2.398
O  2.845  1.299  -4.201
H  3.370  1.264  -3.392
H  3.479  1.507  -4.896
O  5.490  -1.410  -1.513
H  4.979  -0.597  -1.429
H  5.729  -1.452  -2.447
O  -3.525  0.157  -0.649
H  -2.735  0.712  -0.789
H  -4.179  0.754  -0.273
O  -4.744  -1.281  2.239
H  -4.492  -1.177  3.170
H  -5.550  -0.764  2.147
O  3.208  1.445  4.491
H  2.827  2.133  3.909
H  2.419  0.930  4.745
O  -2.237  -2.368  -3.865
H  -2.558  -3.266  -3.989
H  -1.347  -2.469  -3.500
O  0.603  -3.484  -3.319
H  0.798  -4.132  -4.007
H  0.368  -4.023  -2.531
O  2.480  4.539  -1.190
H  1.752  4.672  -1.815
H  3.270  4.518  -1.737
O  0.083  3.364  -3.787
H  -0.058  3.498  -4.731
H  0.500  2.492  -3.724
O  2.630  -1.962  3.368
H  1.690  -1.817  3.224
H  2.742  -2.919  3.313
O  1.004  0.017  5.191
H  0.313  -0.490  4.747
H  1.326  -0.569  5.889
O  -2.628  2.228  4.224
H  -2.983  3.079  3.945
H  -1.698  2.411  4.449
O  0.153  2.752  5.193
H  0.234  1.783  5.123
H  0.842  3.108  4.615
O  2.571  -1.391  -4.464
H  2.213  -0.568  -4.096
H  1.795  -1.905  -4.709
O  -3.287  -2.564  0.050
H  -3.632  -2.353  0.934
H  -3.158  -1.693  -0.382
O  -2.315  3.611  -2.112
H  -2.012  3.122  -1.334
H  -1.609  3.458  -2.759
O  -3.403  2.911  1.408
H  -2.607  2.536  0.968
H  -3.267  2.726  2.339
O  -1.674  0.431  -6.016
H  -1.533  -0.160  -5.265
H  -1.606  -0.141  -6.786

=====

Entry 2:
# C9H6Cl2N2

A cluster of 2 separate species, C9H6Cl2N2 in total at a distorted geometry (wB97M-V/def2-TZVPD, OMol25).

Values from the calculation:
- Total energy: -37451.6165 eV
- F_max: 0.0639 hartree/bohr
- LUMO: -0.949 eV
- Frontier orbital gap: 7.91 eV
- Structure (SMILES): N#CC(C#N)=C(Cl)Cl.C1=CCC=C1
- Energy above the lowest of the compared OMol25 structures with the same formula, charge and spin: 0.0 kcal per mole
- HOMO: -8.861 eV

CARTESIAN COORDINATES (ANGSTROEM)
N  3.041  -1.095  2.208
C  3.004  -0.259  1.439
C  2.813  0.828  0.480
C  3.378  0.536  -0.794
N  3.823  0.111  -1.735
C  2.337  2.051  0.773
Cl  1.911  2.540  2.360
Cl  2.174  3.308  -0.420
C  0.308  -1.410  0.438
C  0.411  -0.618  -0.633
C  -0.394  0.631  -0.482
C  -1.090  0.374  0.821
C  -0.667  -0.772  1.357
H  0.545  -2.509  0.525
H  0.850  -0.844  -1.599
H  -0.098  1.671  -0.738
H  -1.311  0.416  -1.073
H  -1.999  0.810  1.267
H  -1.161  -1.516  2.110

=====

Entry 3:
# C9H6ClF
└──

# Job
The reader should work out how many lines earlier on have the word "Energy" in them; a number is enough.

# Completed
2